In the last post, we played the game ourselves and got a better understanding of the environment, as well as some insight on how a “good” agent might behave. Today, we will now check how the agent observes and acts inside this environment.

Observation Space

The observation space of the Obstacle Tower consists of two components:

  1. The visual part
  2. The auxiliary part

The visual part is a single $168 \times 168$ image. It is exactly twice in hieght and width from the common $84 \times 84$ image found in the Arcade Learning Environment (ALE).

The auxiliary part is a vector that consists of two numbers: the number of keys the agent has, and the amount of time until the episode terminates.

Action Space

The action space of the Obstacle Tower consists of four “subspaces” (components):

  1. Moving forward or backward (or no-op)
  2. Turning camera counterclockwise or clockwise (or no-op)
  3. Jumping (or no-op)
  4. Moving left or right (or no-op)

These subactions from subspaces can be combined in any way: for example, you can turn camera clockwise while jumping left. In total, there are $3 \times 3 \times 2 \times 3 = 54$ combinations available.

Note that “forward”, “backward”, “left”, “right” are all relative to the player’s camera.

For convenience, here is a simple Action Interpreter widget, with style borrowed from

Do nothing.

NOTE There was a bug in previous version of action interpreter: camera clockwise and camera counterclockwise was reversed. This was fixed on April 11th.

Retro Mode

These observation space and action space are quite different from the Arcade Learning Environment (ALE). To allow making a fair comparison, the environment also offers a “retro mode” where both the observation space and the action space is retro-fitted to be as similar as the ALE environments.

Instead of the two-component observation space, the “retro” observation space only returns an $84 \times 84$ image as observation. Instead of an auxiliary vector, it embeds the information into the image.

┌──
one:
Entry from the Open Molecules 2025 dataset: a molecular structure, C41H38O2PPtSb2 (ωB97M-V/def2-TZVPD).

Last column: Löwdin spin population.
Atoms and positions in Å:
Pt1 -1.0225 0.5741 0.1530  1.06
O1 2.3869 2.2245 0.9240  0.08
C1 1.6955 1.2438 0.7335  0.03
O2 1.0242 1.0194 -0.3846  0.23
C2 1.5233 0.1885 1.8119  0.05
P1 -0.2377 0.1756 2.3258  0.23
C3 -0.6657 -1.3945 3.0256  0.05
C4 -0.9113 -1.5295 4.3957  0.02
C5 -1.1869 -2.7843 4.9125  0.00
C6 -1.2217 -3.8915 4.0737  0.03
C7 -0.9796 -3.7574 2.7094  0.00
C8 -0.7044 -2.5110 2.1807  0.03
C9 -0.5732 1.5289 3.4327  0.03
C10 -1.8777 1.6836 3.9154  0.02
C11 -2.1759 2.7356 4.7634  0.00
C12 -1.1808 3.6364 5.1293  0.02
C13 0.1131 3.4879 4.6454  0.00
C14 0.4231 2.4389 3.7924  0.02
H1 2.1758 0.3616 2.6679  0.01
H2 1.7307 -0.8015 1.4010  0.00
H3 -0.8685 -0.6717 5.0541  0.00
H4 -1.3652 -2.9007 5.9727  0.00
H5 -1.4331 -4.8691 4.4861  0.00
H6 -1.0008 -4.6267 2.0666  0.00
H7 -0.5133 -2.4055 1.1173  0.01
H8 -2.6502 0.9725 3.6431  0.00
H9 -3.1787 2.8486 5.1529  0.00
H10 -1.4134 4.4474 5.8066  0.00
H11 0.8886 4.1754 4.9569  0.00
H12 1.4404 2.3238 3.4376  0.00
C15 -2.4970 4.3249 -0.3958  0.07
C16 -3.7170 3.4292 -0.1798  0.01
C17 -4.0862 2.5104 -1.3502  0.04
Sb1 -3.1487 0.5806 -1.4076  0.28
C18 -4.4036 -0.7075 -0.3576  0.10
C19 -5.0460 -0.2578 0.8020  0.04
C20 -5.9165 -1.1036 1.4650  0.00
C21 -6.1241 -2.3955 0.9883  0.05
C22 -5.4654 -2.8484 -0.1514  0.01
C23 -4.5916 -2.0120 -0.8239  0.03
C24 -2.8554 -0.1112 -3.3491  0.05
C25 -1.9787 -1.1700 -3.5777  0.01
C26 -1.8419 -1.6645 -4.8646  0.00
C27 -2.5743 -1.1041 -5.9057  0.01
C28 -3.4402 -0.0443 -5.6705  0.00
C29 -3.5798 0.4680 -4.3883  0.02
Sb2 -0.7066 3.1724 -0.6653  0.26
C30 0.9981 4.4623 -0.5198  0.15
C31 1.6687 4.6799 0.7236  0.31
C32 2.9113 5.3673 0.7982  0.09
C33 3.4655 5.8680 -0.3407  0.05
C34 2.7968 5.6693 -1.5751  0.31
C35 1.5646 4.9552 -1.6552  0.09
C36 -0.6940 2.7603 -2.7370  0.04
C37 -1.4750 3.5465 -3.5911  0.01
C38 -1.4935 3.2887 -4.9540  0.01
C39 -0.7404 2.2405 -5.4718  0.01
C40 0.0395 1.4616 -4.6281  0.00
C41 0.0681 1.7162 -3.2640  0.01
H13 -2.3371 4.9611 0.4752  0.00
H14 -2.6204 4.9794 -1.2583  0.01
H15 -4.5742 4.0838 -0.0049  0.00
H16 -3.5926 2.8536 0.7423  0.00
H17 -3.9069 2.9786 -2.3187  0.00
H18 -5.1438 2.2438 -1.3004  0.00
H19 -4.8946 0.7507 1.1707  0.00
H20 -6.4413 -0.7603 2.3462  0.00
H21 -6.8108 -3.0522 1.5058  0.00
H22 -5.6436 -3.8498 -0.5190  0.00
H23 -4.0948 -2.3600 -1.7220  0.00
H24 -1.4038 -1.6071 -2.7688  0.00
H25 -1.1704 -2.4908 -5.0556  0.00
H26 -2.4710 -1.4996 -6.9075  0.00
H27 -4.0113 0.3831 -6.4839  0.00
H28 -4.2595 1.2942 -4.2166  0.00
H29 1.2071 4.3543 1.6473  0.01
H30 3.3852 5.5002 1.7610  0.00
H31 4.3997 6.4125 -0.3216  0.00
H32 3.2429 6.0476 -2.4872  0.01
H33 1.1245 4.7939 -2.6319  0.00
H34 -2.0579 4.3794 -3.2175  0.00
H35 -2.0870 3.9110 -5.6110  0.00
H36 -0.7557 2.0384 -6.5347  0.00
H37 0.6367 0.6544 -5.0318  0.00
H38 0.6911 1.1081 -2.6198  0.00
└──
-- So much for the records of molecules --

Instead of the four-component action space, the “retro” action space accepts a number from 0~53, resembling the 54 combinations of actions available.

You can activate the retro mode when you initialize the environment by giving retro=True as a parameter:

env = ObstacleTowerEnv('./ObstacleTower/obstacletower', retro=True)

What’s Next?

Now that we know what the agent will see and how the agent can act, we are ready to start training some baseline agents! A baseline agent can offer valuable insight on what possible improvements can be made. For example, if the baseline agent struggles in distinguishing objects, we might want a larger convolutional neural network. If the baseline agent cannot solve 2D puzzles, we might want to add some planning module to the agent.

Following the Obstacle Tower paper, we will use two popular baselines: Rainbow and PPO.